IFLA The “The Day After” Edition of the horoscope for the Week of July 31

by | Jul 31, 2022 | IFLA | 53 comments

The burrs have ripened.


This week has a lot of stuff going on, but most of it is pretty common-sense.  Mercury-Sun-Mars = news about war.  No shit?  I don’t know what the astrological sin for monkeypox is, but I’ll bet these some coordination with that and Mercury too.  Then there’s a clear sign of a plumbing problem with Saturn retrograde, but I can’t for the life of me figure out how that’s sky-worthy.  Unless maybe Prince Willie slips in a puddle from a leaking pipe and cracks his skull or something.  One thing that is interesting and a bit esoteric is that the Earth-Moon system is moving such that the moon starts off the week opposite of Saturn retrograde and then on Thursday passes opposite Jupiter Retrograde.  This… actually leads a bit of support to the whole “for the want of teflon tape a kingdom was lost” bit earlier, since Jupiter retrograde not only indicates misrule and abuse of power, but the fall of governments.  In modern readings, it’s been linked to the cancellation of comedy shows, though I tend to discount most astrological discoveries made after 1780.

It’s good to be the king (of beasts) as Leo gets its due.  It’s got the classic power pair of the Sun and Mercury, as one would hope.  The other visitations are so normal as to be stereotypical — you’ve got womanly goodness (the moon in Virgo and Venus in Cancer) though those last two are also a warning against overexposing yourself.  You’ve got belligerents (Mars in Taurus) and “just following orders” bureaucrats (Jupiter retrograde in Aries).


Best friends have common interests


Leo:  Blank card – Total freedom.  Or possibly the deck is defective.

Virgo:  8 of Coins – Work, employment, commission, craftsmanship, skill in craft and business.

Libra:  The Emperor – Stability, power, protection, realization, reason, authority.

Scorpio: 2 of Cups reversed – A spat between friends.

Sagittarius:  The Star – Loss, theft, privation, abandonment, hope and bright prospects.

Capricorn:  The Tower – Sorry about that.

Aquarius:  9 of Coins – Living your best possible life.

Pisces:  King of Wands – Honesty in general, also an a man who is active.

Aries:  5 of Swords –  Getting your butt kicked and your lunch money taken, but analogized to actual life.

Taurus:  The Wheel of Fortune – Destiny, fortune, success, elevation, luck, felicity.

Gemini:  The World reversed – Australia.

Cancer:  The Fool – you really should have put on sunscreen.


Friends can disagree about how great swimming is


About The Author

Not Adahn

Not Adahn

Despite all my rage, I am still just an impeccably dressed rat.


  1. Yusef, the Gandalf of disc golf

    Virgo: 8 of Coins – Work, employment, commission, craftsmanship, skill in craft and business.

    I like the sound of that

  2. Sean

    “The Fool – you really should have put on sunscreen.”


  3. Don escaped Texas

    Sagittarius: The Star – Loss, theft, privation, abandonment, hope and bright prospects

    It’s only a month! – Steve Bannon

    • Don escaped Texas

      Gemini: The World reversed – Australia

      Everyone’s loving the LIV, right? **tap tap** is this thing on? – Greg Norman

  4. TARDis

    From Dedthread:

    Count Potato on July 31, 2022 at 10:43 am

    Huh, I hadn’t heard about that one. Link?

    Rosanne Boyland.

    • R C Dean

      And, when others tried to rescue her and render first aid, they were beaten and driven off.

      • Ownbestenemy

        Or arrested for attack an officer

  5. R C Dean

    “Leo: Blank card – Total freedom.”

    Woo-hoo! *drops trou*

    • Zwak doesn't know what to ignite and what to extinguish

      Right there with you, big guy!

      “Aquarius: 9 of Coins – Living your best possible life.”

    • R.J.

      Boy I wish. Post vacation shopping and grill cleanup here.

  6. Sean

    Steaks are on the grill. 😁

    • PieInTheSky

      is the wine decanted?

    • Ted S.

      I hope you didn’t put the gun on the grill too.

  7. PieInTheSky

    Cancer: The Fool – you really should have put on sunscreen.

    sunscreen is for pussies

    • R C Dean

      Easy for a creature of the night to say.

  8. Gustave Lytton

    From the dead thread, I was painting the garage this morning before it turns into the cooler:

    Oglala Sioux Tribe Rescinds Ordinance Suspending Churches and Missions. But apparently non-native religious groups will still have to register. Looks like someone has forgotten that 1A applies on the reservation.

    I don’t believe it does. The tribal organizations are largely not subject to the bill of rights or other constitutional protections except as explicitly stated in federal law, otherwise those racist pseudo governments would be 14th amendmented into the ground where they belong.

  9. The Late P Brooks

    Sagittarius: The Star – Loss, theft, privation, abandonment, hope and bright prospects.

    *adds soft rope and duct tape to shopping list*

    • Fourscore

      Aaaww, Man…. Too many Black Arm Band Days lately

    • Drake

      88 pretty good for a guy his size. He was legend in Boston. Also a great track star in college.

  10. hayeksplosives

    Aries: 5 of Swords – Getting your butt kicked and your lunch money taken, but analogized to actual life.

    Bullshit. I’m not taking any of that. I am ascendant and will have a fantastic week as I open my wings unto my new job opportunities.

### Here the page breaks off for materials data
~~~
Entry from the Materials Project: an optimized crystal structure of Na10La4Ga4Si5S7O48 (PBE).

a = 9.2686 Å, b = 15.9156 Å, c = 23.2442 Å
α = 88.05°, β = 89.46°, γ = 89.95°
Element x y z (fractional)
Na 0.0000 0.0000 0.0000
Na 0.0010 0.6659 0.6377
Na 0.0035 0.3439 0.9990
Na 0.1311 0.1545 0.1448
Na 0.1373 0.5099 0.4842
Na 0.1498 0.8484 0.4813
Na 0.1622 0.8444 0.1371
Na 0.1790 0.1794 0.4646
Na 0.1865 0.5143 0.7985
Na 0.3023 0.3302 0.3887
Na 0.3177 0.0032 0.0618
Na 0.3303 0.6665 0.7205
Na 0.3404 0.6617 0.2451
Na 0.3419 0.9941 0.5578
Na 0.3611 0.3234 0.9051
Na 0.4418 0.5122 0.3113
Na 0.4607 0.1838 0.9813
Na 0.5209 0.1500 0.6446
Na 0.6268 0.9858 0.4907
Na 0.6560 0.3602 0.4720
Na 0.6809 0.0156 0.7994
Na 0.7010 0.6787 0.4720
Na 0.7901 0.4822 0.0807
Na 0.8130 0.8195 0.3912
Na 0.8165 0.1864 0.2218
Na 0.8207 0.1718 0.7287
Na 0.8401 0.8262 0.8969
Na 0.8439 0.4948 0.5677
Na 0.9692 0.0086 0.3043
Na 0.9704 0.6795 0.9755
La 0.3027 0.6801 0.8848
La 0.3157 0.3511 0.5510
La 0.3194 0.0112 0.9184
La 0.3238 0.3405 0.7441
La 0.3275 0.0037 0.2130
La 0.3266 0.6599 0.0925
La 0.3379 0.0013 0.7109
La 0.7985 0.5031 0.9203
La 0.8193 0.1809 0.5688
La 0.8260 0.1883 0.8861
La 0.8277 0.1885 0.3770
La 0.8278 0.8333 0.7424
Ga 0.2980 0.6757 0.5726
Ga 0.3063 0.3309 0.2451
Ga 0.3418 0.0156 0.4146
Ga 0.3433 0.6953 0.3884
Ga 0.3477 0.3444 0.0523
Ga 0.7477 0.5218 0.2170
Ga 0.8021 0.8358 0.5442
Ga 0.8054 0.8364 0.2478
Ga 0.8345 0.8437 0.0551
Ga 0.8413 0.1658 0.0829
Ga 0.8485 0.5192 0.7131
Ga 0.8620 0.5317 0.4094
Si 0.0344 0.6823 0.4795
Si 0.1333 0.1839 0.9956
Si 0.1514 0.8252 0.9961
Si 0.1677 0.5097 0.6476
Si 0.1919 0.1589 0.3113
Si 0.4586 0.4725 0.1576
Si 0.4678 0.8199 0.4815
Si 0.4874 0.1642 0.8145
Si 0.5028 0.1716 0.4823
Si 0.6675 0.6614 0.3176
Si 0.6748 0.3167 0.9971
Si 0.6787 0.9871 0.6415
Si 0.9464 0.9855 0.1522
Si 0.9687 0.3462 0.4755
Si 0.9730 0.6532 0.8160
S 0.0088 0.0063 0.8161
S 0.0322 0.3399 0.1494
S 0.1154 0.5078 0.3122
S 0.1281 0.8360 0.6346
S 0.1580 0.1828 0.6445
S 0.1715 0.8512 0.3203
S 0.1770 0.5109 0.9824
S 0.4713 0.5408 0.4775
S 0.4742 0.1997 0.1479
S 0.4882 0.8499 0.8194
S 0.5250 0.5141 0.8058
S 0.5473 0.8388 0.1465
S 0.6306 0.9961 0.3197
S 0.6363 0.6858 0.9865
S 0.6549 0.3512 0.6483
S 0.6652 0.6845 0.6405
S 0.6703 0.3718 0.3128
S 0.6845 0.0188 0.9910
S 0.9460 0.6945 0.1534
S 0.9619 0.3643 0.8087
S 0.9833 0.0130 0.4769
O 0.0017 0.1733 0.6500
O 0.0110 0.8470 0.3185
O 0.0129 0.5160 0.2653
O 0.0157 0.1600 0.3158
O 0.0176 0.5009 0.9824
O 0.0263 0.8365 0.5858
O 0.0266 0.1563 0.0509
O 0.0326 0.2046 0.9397
O 0.0375 0.5010 0.3705
O 0.0483 0.8250 0.6904
O 0.0892 0.0050 0.8711
O 0.1065 0.6888 0.1532
O 0.1074 0.0001 0.7662
O 0.1170 0.6567 0.5397
O 0.1199 0.3486 0.0956
O 0.1221 0.3674 0.8098
O 0.1259 0.9932 0.1524
O 0.1293 0.3227 0.2003
O 0.1409 0.3658 0.4826
O 0.1416 0.9999 0.4686
O 0.1520 0.6555 0.8094
O 0.1589 0.7014 0.4299
O 0.1776 0.7642 0.9406
O 0.1910 0.4541 0.5907
O 0.1977 0.2267 0.5891
O 0.2064 0.4297 0.3110
O 0.2097 0.5727 0.0263
O 0.2103 0.9216 0.9893
~~~

    • Sean

      Retard on CBS news this morning was saying how important it is right now to get school kids pricked. “They wont have full immunity until after four weeks.”. Full immunity.


      • Drake

        Kids are already immune.

  11. Not Adahn

    Back from lodly punching holes in cardboard. It was fun.

    So was yesterday, though quieter. End of July and no AC? No problem! Great meeting everyone. The only people that didn’t fit my mental picture were Warty and Playa.

    SF looks exactly like someone who has human body parts in the freezer.

    • Sean

      “SF looks exactly like someone who has human body parts in the freezer.”

      I knew it!

    • DEG

      The only people that didn’t fit my mental picture were Warty


      • Not Adahn

        That’s not entirely true. I didn’t expect CPRM to look like he did.

      • DEG

        I had seem him on Zoom, so I knew what he looked like.

  12. DEG

    Total freedom. Or possibly the deck is defective.

    This could be sufficiently shitty. Or possibly not.

  13. Not Adahn

    This is the first time Lily’s blown her adult coat. It’s impressive, in one of those “you can make an entire ‘nother dog out of the shed fur” kind of way. The burrs are somewhat acting like paper clips, keeping the fur in big clumps.

    • Mojeaux

      I always wonder why yarn makers don’t try to use dog fur to make yarn with. Maybe it makes scratchy yarn, I don’t know.

      • Not Adahn

        At Half Price Books in Austin, there was a book called Knitting With Dog Hair. I kick myself for not buying it.

        When Lily’s in her winter coat, I’m a little surprised that dogs weren’t bred for fur.

      • kinnath

        My wife knows someone that has spun the undercoat from shelties to make yarn. It takes a long time to collect enough hair from dogs to make it worthwhile.

      • kinnath

        You want long hair to spin. It needs to be coarse enough to stick to itself when it is twisted together (which is what spinning does) and still soft enough to be comfortable to wear. Dog hair is generally not very good for this.

  14. Mojeaux

    sin for monkeypox

    Well, I mean …

    Taurus: The Wheel of Fortune – Destiny, fortune, success, elevation, luck, felicity.

    I sure as hell hope so.

    • rhywun


    • R.J.

**Calculated crystals that have nothing to do with the article:**
┌──
Record 1
{"formula": "AlSe2NO8", "functional": "GGA-PBE", "state": "relaxed", "sg": "No. 150", "e_tot_ev_per_cell": -63.33, "total_magnetization_mub_per_fu": 2.0, "e_form_ev_per_atom": -0.8472, "lattice_angstrom": [[-2.5337, -4.3885, 0.0000], [-2.5337, 4.3885, 0.0000], [0.0000, 0.0000, -8.9298]], "species": ["Al", "Se", "Se", "N", "O", "O", "O", "O", "O", "O", "O", "O"], "fractional_positions": [[0.0000, 0.0000, 0.0000], [0.6667, 0.3333, 0.7986], [0.3333, 0.6667, 0.2014], [0.0000, 0.0000, 0.5000], [0.9270, 0.2503, 0.8649], [0.3233, 0.0730, 0.8649], [0.6767, 0.7497, 0.1351], [0.7497, 0.6767, 0.8649], [0.2503, 0.9270, 0.1351], [0.0730, 0.3233, 0.1351], [0.6667, 0.3333, 0.6156], [0.3333, 0.6667, 0.3844]]}

Record 2
└──
**End of the calculated crystals:**

      Overall I like it. The purple granite/ whatever flooring is the only really difficult choice to live with. The exterior gives off a nice “Despicable Me” vibe.

      • Sean

        You’re ok with the bedroom shower and the tub in the window?

        *scribbles notes*

        Yes on the exterior.

      • rhywun

        The exterior is great on one or two sides and really puzzling on a couple of the others.

      • one true athena

        The completely freestanding shower in the middle of the giant bedroom. yeah, that’s a yikes. I’ve been in some hotel showers that don’t keep any steam in and it’s so cold the instant you step out of the water.

        The wood fake fireplace was bizzare. as was the lack of cabinet doors in the kitchen. It looks super classy to have your cleaning supplies under the sink just sitting there. And there doesn’t appear to be any other storage – like they ripped all the closets out to make all the rooms as big and featureless as possible.

        But good find for a NOPE house! 🙂

      • TARDis

        The outside is cool. The inside private spaces are stupid. If I’m not waking up to a supermodel showering while I’m in bed….

        Sloped bonus room ceiling = FAIL.

    • Zwak doesn't know what to ignite and what to extinguish

      I knew more than a few goths back 30-odd years ago who would have loved every bit of that house, with the exception of the fireplaces.

      • R.J.

        I think that is my attraction as well. Some of it is remodeling I would have done anyway. Agree that the shower in the middle of the bedroom needs to be moved to a better location. That center of bedroom location is reserved for the stretching rack and electric hot tongs.

    • Mojeaux

      Dafuq did I just see?

    • The Hyperbole

      Only problem I got is the amoeba shaped mirror.